• To do:
Print all of the entries further down without additions.
• Entries:
## LuAlFe (GGA-PBE)

Data for a relaxed LuAlFe crystal.

a = 8.461 Å, b = 5.315 Å, c = 5.315 Å
α = 59.82°, β = 90.00°, γ = 90.00°
Fractional coordinates of all 12 atoms:
Lu 0.184 0.000 0.000
Lu 0.300 0.670 0.670
Lu 0.700 0.670 0.670
Lu 0.816 0.000 0.000
Al 0.000 0.498 0.498
Al 0.500 0.168 0.168
Al 0.500 0.170 0.660
Al 0.500 0.660 0.170
Fe 0.000 0.005 0.503
Fe 0.000 0.503 0.005
Fe 0.239 0.326 0.326
Fe 0.761 0.326 0.326

energy of formation from the pure elements = -0.340 eV/atom
uncorrected energy = -17.756 eV per formula unit
space group = Amm2 (38)

=====

# 1
First-principles (PBE) data for crystalline Hg3Ge at its relaxed geometry, as listed in the Materials Project.

Cell: 6.470 6.470 5.247 Å, 90.00 90.00 120.00°
Positions (direct):
Hg (0.169, 0.337, 0.250)
Hg (0.169, 0.831, 0.250)
Hg (0.663, 0.831, 0.250)
Hg (0.831, 0.663, 0.750)
Ge (0.333, 0.667, 0.750)
Ge (0.667, 0.333, 0.250)
Hg (0.337, 0.169, 0.750)
Hg (0.831, 0.169, 0.750)

***

# 2
First-principles (PBE) data for crystalline Mg16Al12Br at its relaxed geometry, as listed in the Materials Project.

Cell: 9.032 9.032 9.082 Å, 71.57 71.57 107.59°
Positions (direct):
Al (0.157, 0.346, 0.024)
Al (0.831, 0.641, 0.344)
Mg (0.692, 0.006, 0.593)
Mg (0.395, 0.669, 0.007)
Al (0.639, 0.639, 0.159)
Mg (0.002, 0.002, 0.997)
Mg (0.715, 0.323, 0.677)
Al (0.008, 0.196, 0.632)
Al (0.181, 0.808, 0.185)
Al (0.346, 0.157, 0.024)
Br (0.581, 0.581, 0.749)
Mg (0.998, 0.998, 0.343)
Mg (0.323, 0.715, 0.677)
Mg (0.006, 0.692, 0.593)
Mg (0.311, 0.311, 0.293)
Mg (0.294, 0.599, 0.400)
Al (0.196, 0.008, 0.632)
Al (0.641, 0.831, 0.344)
Mg (0.403, 0.998, 0.319)
Mg (0.652, 0.006, 0.988)
Mg (0.669, 0.395, 0.007)
Al (0.841, 0.841, 0.811)
Mg (0.006, 0.652, 0.988)
Mg (0.998, 0.403, 0.319)
Al (0.808, 0.181, 0.185)
Mg (0.335, 0.335, 0.680)
Al (0.377, 0.996, 0.816)
Al (0.996, 0.377, 0.816)
Mg (0.599, 0.294, 0.400)

## Properties
* distance to the lowest polymorph of the same formula: 0 meV/atom

***

Here are the calculated calculated formation energy numbers, same order: 0.25, -0.03 (eV per atom).
Here are the calculated E numbers, same order: -1.129, -2.500 (eV/atom).
• Response:
## LuAlFe (GGA-PBE)

Data for a relaxed LuAlFe crystal.

a = 8.461 Å, b = 5.315 Å, c = 5.315 Å
α = 59.82°, β = 90.00°, γ = 90.00°
Fractional coordinates of all 12 atoms:
Lu 0.184 0.000 0.000
Lu 0.300 0.670 0.670
Lu 0.700 0.670 0.670
Lu 0.816 0.000 0.000
Al 0.000 0.498 0.498
Al 0.500 0.168 0.168
Al 0.500 0.170 0.660
Al 0.500 0.660 0.170
Fe 0.000 0.005 0.503
Fe 0.000 0.503 0.005
Fe 0.239 0.326 0.326
Fe 0.761 0.326 0.326

energy of formation from the pure elements = -0.340 eV/atom
uncorrected energy = -17.756 eV per formula unit
space group = Amm2 (38)

=====

# 1
First-principles (PBE) data for crystalline Hg3Ge at its relaxed geometry, as listed in the Materials Project.

Cell: 6.470 6.470 5.247 Å, 90.00 90.00 120.00°
Positions (direct):
Hg (0.169, 0.337, 0.250)
Hg (0.169, 0.831, 0.250)
Hg (0.663, 0.831, 0.250)
Hg (0.831, 0.663, 0.750)
Ge (0.333, 0.667, 0.750)
Ge (0.667, 0.333, 0.250)
Hg (0.337, 0.169, 0.750)
Hg (0.831, 0.169, 0.750)

***

# 2
First-principles (PBE) data for crystalline Mg16Al12Br at its relaxed geometry, as listed in the Materials Project.

Cell: 9.032 9.032 9.082 Å, 71.57 71.57 107.59°
Positions (direct):
Al (0.157, 0.346, 0.024)
Al (0.831, 0.641, 0.344)
Mg (0.692, 0.006, 0.593)
Mg (0.395, 0.669, 0.007)
Al (0.639, 0.639, 0.159)
Mg (0.002, 0.002, 0.997)
Mg (0.715, 0.323, 0.677)
Al (0.008, 0.196, 0.632)
Al (0.181, 0.808, 0.185)
Al (0.346, 0.157, 0.024)
Br (0.581, 0.581, 0.749)
Mg (0.998, 0.998, 0.343)
Mg (0.323, 0.715, 0.677)
Mg (0.006, 0.692, 0.593)
Mg (0.311, 0.311, 0.293)
Mg (0.294, 0.599, 0.400)
Al (0.196, 0.008, 0.632)
Al (0.641, 0.831, 0.344)
Mg (0.403, 0.998, 0.319)
Mg (0.652, 0.006, 0.988)
Mg (0.669, 0.395, 0.007)
Al (0.841, 0.841, 0.811)
Mg (0.006, 0.652, 0.988)
Mg (0.998, 0.403, 0.319)
Al (0.808, 0.181, 0.185)
Mg (0.335, 0.335, 0.680)
Al (0.377, 0.996, 0.816)
Al (0.996, 0.377, 0.816)
Mg (0.599, 0.294, 0.400)

## Properties
* distance to the lowest polymorph of the same formula: 0 meV/atom

***

Here are the calculated calculated formation energy numbers, same order: 0.25, -0.03 (eV per atom).
Here are the calculated E numbers, same order: -1.129, -2.500 (eV/atom).